Higher Sharia Supervisory Board (HSSB)

About HSSB

The Higher Sharia Supervisory Board has been established according to the provisions of Article (23) of the Banking Law No. (9/2010), regarding the banks and the decisions of the Board of Directors of the Palestine Monetary Authority No. (2/2011) and No. (9/2017), And according to the best international practices and standards issued by The Accounting and Auditing Organization for Islamic Financial Institutions (AAOIFI), with the aim of developing the Islamic banking system in Palestine.

During 2019, And through the joint cooperation between the Palestine Monetary Authority and the Palestine Capital Market Authority to develop the Islamic financial system in Palestine, the Higher Sharia Supervisory Board has been restructured to include, in addition to Islamic banks and finance institutions, Islamic insurance companies (Takaful) and financial leasing companies, which are subject to The supervision of the Palestine Capital Market Authority.

The Higher Sharia Supervisory Board includes seven members; five members specialized in transactional jurisprudence, in addition to a financial expert specializing in the Islamic banks and a financial expert specializing in the Islamic insurance companies.

The Higher Sharia Supervisory Board performs its functions and issues its decisions and rulings on what presented to it based on the standards issued by the Islamic Financial Services Board (IFSB), the Accounting and Auditing Organization for Islamic Financial Institutions (AAOIFI) and the jurisprudence of its members.


Missions and objectives:

The Higher Sharia Supervisory Board is considered a Sharia advisor to the Palestine Monetary Authority and the Palestine Capital Market Authority for the Islamic financial business that it carries out; In addition to providing advice and giving Sharia opinion to regulate the work and control of Islamic banking and non-banking financial institutions, in the field of Islamic finance and banking, and the development of Islamic financial products.

  • Issuing fatwas related to Islamic finance, which are binding to all parties.
  • Adopting general frameworks for the work of Sharia supervisory Boards for Islamic financial institutions.
  • Spreading the Sharia foundations and concepts governing Islamic finance, increasing awareness and education for employees in the Islamic financial sector, and spreading Islamic financial awareness in general.


style="color:#e3b631;">Dr. Esam Al Enezi
The Chairman

Dr. Esam Al Enezi
The Chairman
  • PhD. in Comparative Jurisprudence, University of Jordan.
  • Professor of Comparative Jurisprudence and Faculty of Sharia and Islamic Studies, University of Kuwait.
  • A member of the Shari’ah Council of the Accounting and Auditing Organization for Islamic financial institutions. (AAOIFI).
  • A member of IFIs’ Shari’ah supervisory boards (Ahli United Bank, Warba Bank, Gatehouse Bank, Bank of London & The Middle East, Kuwait Zakat House, Boubyan Bank, Bahrain Islamic Bank).
Dr. Erwa  Sabri
Deputu Chairman

PhD. in Fundamental of Fiqh (Jurisprudence), Al Qaraouyine University, Morocco.

License in Sharia Law.

Dean of Faculty of Quran and Islamic Studies, and faculty of Da'wa & Religion.

Member of the Supreme Islamic Authority in Jerusalem.

Member of the Council of Scholars and Preachers in Jerusalem.

A member of the Fatwa and Sharia Supervision Board at the Arab Islamic Bank (2005 - 2020), during which he served as Chairman of the Board (2011 - 2018), and a member of the Supreme Fatwa Council in Palestine (2003 - 2006).

Dr. Basel Alshaer
  • Ph.D. in jurisprudence and its principles, 2004, University of Jordan.
  • Ph.D. in law, 2012, OLWA University.
  • Associate Professor, Department of Islamic Banks, University of Jordan.
  • Chairman of the Shari'a Supervisory Board in Libyan Islamic Bank
  • Advisor  of Sharia and banking to a number of Islamic finance companies (Capital for Investment, Al Israa for Islamic Finance and Investment), and consultant in preparing and evaluating Sharia evidence for the banking operations of a number of institutions.
  • Member of the Supreme Steering Committee for Governmental Sukuk Management – Jordan, Member of the Companies Classification Committee at the Amman Stock Exchange.

Dr. Ali Sartawi

Financial and banking expert

Ph.D. in Fundamental of Fiqh (Jurisprudence), University of Jordan.

Professor of Civil Law, Faculty of Law, An-Najah National University.

Chairman of Shariah Supervisory Committee, AL- TAKAFUL INSURANCE COMPANY.

A member of Graduate Studies committee - Private Law, Founding member of the Master's Program in Intellectual Property and Innovation Management, An-Najah National University.

A former Palestinian Minister of Justice.

A former member of IFIs’ Shari’ah supervisory boards (Ijara Company, Palestine Islamic Bank).

A former member of the Governance and Ethics Board of the Accounting and Auditing Organization for Islamic financial institutions. (AAOIFI).

He previously held the following positions: the dean of the Faculty of Law and the dean of Faculty of Shari’a, Head of the Department of Fiqih & Legislation - An-Najah National University.


Dr. Moatasem Askafi

PhD. in Islamic Economics (Islamic Finance Istanbul Sabahattin Zaim University.

Head of the Department of Islamic Finance and Banking, College of Islamic Sciences, Palestine.

Practical experience of Sharia supervision in Islamic banks, Palestine.


Prof. Man Bakr

PhD in Comparative Jurisprudence in 2008 / University of Jordan

Professor of Jurisprudence and Legislation / An-Najah National University

Professor of Islamic Studies at UAE Universities

Expert of the Academic and institutional Accreditation, and teachers’ assessment in the Ministries of Education and Higher Education.

Referee at many universities and refereed scientific journals




Fatwa and other Legislation



_Data records that have nothing to do with the text_
- - -
Molecular formula: C6H27N2O5
Method: DFT, the ωB97M-V functional and the def2-TZVPD basis

For the LUMO energy, the calculation gives -2.638 eV. The orbital gap comes out at 9.65 eV. The strongest force on any atom is 2.18 eV/Å. For the relative energy (zero: lowest compared OMol25 entry of this formula, charge and spin), the calculation gives 136.85 kJ/mol. As for the HOMO energy: -0.4516 Ha. As for the total charge: +1.

```
40
C6H27N2O5, DFT the ωB97M-V functional and the def2-TZVPD basis
N -2.040 -0.908 0.240
C -0.560 -0.845 -0.166
C -0.546 -0.695 -1.710
C -1.196 0.546 -2.283
C 0.882 -0.901 -2.217
C 0.182 0.230 0.675
N 1.611 -0.072 0.695
C 2.196 0.010 2.010
H -2.304 0.088 0.423
H -1.997 -1.391 1.153
H -2.672 -1.450 -0.341
H -0.169 -1.820 0.115
H -1.108 -1.571 -2.041
H -0.522 1.405 -2.112
H -2.118 0.785 -1.753
H -1.387 0.473 -3.336
H 1.328 -1.771 -1.753
H 1.496 -0.017 -2.084
H 0.970 -1.018 -3.293
H -0.076 1.248 0.378
H -0.225 0.152 1.696
H 1.835 -0.977 0.280
H 2.264 1.022 2.419
H 1.614 -0.467 2.827
H 3.210 -0.395 2.017
H 2.265 -2.813 1.349
H 2.148 -4.022 0.506
O 1.646 -3.240 0.749
H -0.949 -3.220 2.291
H -0.637 -2.324 3.354
O -1.135 -2.295 2.527
H -0.659 4.220 0.386
H -0.558 4.071 -1.136
O -1.173 4.064 -0.409
H -2.569 2.689 1.187
H -1.834 2.299 -0.099
O -2.210 1.926 0.724
H 2.247 2.730 -1.286
H 1.447 1.657 -0.884
O 1.302 2.594 -1.096
```

Molecular formula: C26H29As2NO8S2Ta
Method: DFT, the ωB97M-V functional and the def2-TZVPD basis

For the LUMO energy (spin up / spin down), the calculation gives -10.631 / -10.631 eV. The orbital gap (spin up / spin down) comes out at 6.27 / 6.27 eV. The strongest force on any atom is 2.82 eV/Å. For the relative energy (zero: lowest compared OMol25 entry of this formula, charge and spin), the calculation gives 0.00 kJ/mol. As for the HOMO energy (spin up / spin down): -0.6211 / -0.6211 Ha. As for the total charge: +3.

```
69
C26H29As2NO8S2Ta, DFT the ωB97M-V functional and the def2-TZVPD basis
Ta 12.497 12.593 8.828
S 14.104 13.664 10.239
C 14.940 14.704 9.033
C 16.205 15.231 9.251
C 16.700 16.219 8.424
C 15.952 16.517 7.292
C 14.758 15.884 6.974
C 14.222 14.977 7.878
S 12.548 14.441 7.431
H 16.829 15.004 10.139
H 17.689 16.702 8.505
H 16.269 17.305 6.671
H 14.282 16.074 6.011
N 10.343 12.943 8.336
C 9.782 11.618 8.125
C 9.752 11.106 6.846
C 9.186 9.781 6.590
C 8.555 9.154 7.641
C 8.444 9.795 8.876
C 9.132 10.979 9.176
H 10.139 13.601 7.579
H 9.928 13.428 9.145
H 10.263 11.634 6.061
H 9.177 9.374 5.574
H 8.014 8.232 7.603
H 7.823 9.380 9.709
H 9.075 11.445 10.168
C 11.078 13.664 13.067
O 11.516 12.295 12.830
C 11.771 11.884 11.625
O 11.421 12.570 10.606
C 12.438 10.618 11.452
C 13.424 10.267 12.269
As 14.914 8.854 11.996
C 14.048 7.240 11.363
C 15.095 9.594 10.152
C 14.166 9.748 9.226
As 12.325 9.979 9.641
C 11.397 8.366 9.409
C 14.533 10.475 7.994
O 13.889 11.574 7.754
O 15.456 10.093 7.182
C 15.737 10.608 5.816
C 16.600 9.774 9.902
O 17.282 8.803 9.938
O 16.830 11.023 9.546
C 18.256 11.308 9.151
- - -

Instructions No. (15/2019): Related to Sharia Supervisory Board

